Sunday, December 19, 2021

Chrissymouse Greetings from the J-Cats: Caturday Art and Sunday Selfies

Hallo, Effurrybody!

Here in Jerusalem, We J-Cats are enjoying sunny, but furry cold, weather. That is expected to end tomorrow, when Winter Storm Carmel brings wind, rain and pawsibly even snow to the north and centre of the country. If you look at a map, you can see that Jerusalem is more or less in the centre of Israel, although in the past, it was officially part of what was named "the Southern District". At any rate, the Weather Prophet on Mummy's meowbile phone says We are in for it tomorrow. We hope the thunder boomies won't be too loud, but if they are, we shall burrow under the blankies on the bed and try to purrsuade Mummy to come and snuggle there with Us.

As usual, We are pawticipating in the Caturday Art Blog Hop, hosted by the Wise and Beautiful Athena and her HuMum, Marie and in the Sunday Selfies Blog Hop, hosted by the Adorably Unpredictable Kitties Blue and their HuMom, Janet.

Strictly speaking, it is Trixie's turn to repurresent Us in this week's blog hops, but as many of you are celebrating Chrissymouse at the weekend, and We all wanted to send you Greetings for the Holiday Season, We decided that this time, all three of Us would share Our Sunday Selfies with you and then turn them into Chrissymouse Art.

So, without further ado, here are Our Selfies.

Trixie furrst, because We believe in purroper Etikitty, and that means ladycats furrst:

And here she is, all artified and dressed up for Chrissymouse:

Next up, Caspurr:

And here he is in Chrissymouse Tree Decoration Mode:

And last - but by no means least - Shimshi, as Large as Life and Twice As Natural (Just kidding. He's a lot bigger than this).

And here he is as a Chrissymouse Bulb:

And here are the Blog Hop Badges:


This coming Fursday, December 23rd, is the 10th anniversary of the Departure of Princess PixiCato aka Pixie, for the Rainbow Bridge. We shall devote next week's bloggie to her, as She deserves a post all to herself. We shall recall tales of Her, and learn all about Her Legacy - which includes this Bloggie, which Pixie co-founded.

Until then, take care of Yourselves and your Humans, and beware of the Devious, Sneaky, Evil Coronavirus, which keeps changing form and disguising itself.

Have a Meowy Chrissymouse.

Be well. Be safe. We love you all.


ZOOLATRY said...

We would love to hang each of these lovely ornaments on our holiday tree! Happy, Merry Christmas to one and all ...
June and Ann

The Florida Furkids said...

Beautiful ornaments!!!

meowmeowmans said...

You made such lovely and beautiful ornaments, sweet friends. We love them! Stay warm and safe, okay?


Athena Cat Goddess Wise Kitty said...

Such adorable art!

Memories of Eric and Flynn said...

You all did lovely selfies, and the pretty Christmas ornaments are lovely. Merry Christmas to all of you.

Dash Kitten Crew said...

Love you on the decorations!!!

Katie Isabella said...

I so remember your two babies. It's amazing to think Trixie has been gone away that long.

All of the ornaments are especially beautiful because you are each on them.

All my love dear ones.

Katie Isabella
PS we are so sorry to be missing so much. Things are different right now because of illness in the family. XX

Melissa, Mudpie and Angel Truffles (Mochas, Mysteries and Meows) said...

Hope the weather isn't too bad! Love the photos and Chrissymouse decorations :)

BellaDharma an BellaSita Mum said...

Ehat lovelee Selfiess an Catmess ornymentss deerest Trixie an Caspurr an Shimshi!!
Trixie mee thott mee was lookin at meeself inn yore foto! Wee cuud bee twinss!
An Caspurr you look so reegal an Shimshi you look furry thottfull....
Pleese stay warm ann safe as Winter deescendss on youss'!!
Thanx fore yore support an frendship! YORE THE BEST!
***nose bumpss*** BellaDharma an {{{huggiess}}} BellaSita Mum

Brian's Home Blog said...

Y'all really do look ornamentally wonderful!!!

pilch92 said...

**Attached: calculated crystals**
+++
Structure and simulated X-ray diffraction stick pattern of Ac3Te2H2 (the PBE geometry in Alexandria; a wavelength of 1.5418 Å).
Kinematic intensities with the Lorentz-polarization factor, no thermal factor.

Atomic structure:
Cell: 4.449 4.911 9.670 Å, 75.30 76.76 89.96°
Element x y z (fractional)
Ac 0.000 0.000 0.000
Ac 0.369 0.369 0.262
Ac 0.631 0.631 0.738
Te 0.179 0.179 0.641
Te 0.821 0.821 0.359
H 0.500 0.256 0.000
H 0.500 0.744 0.000

Top 12 peaks for 10° ≤ 2θ ≤ 90°, by angle:
| 2θ (°) | intensity |
| --- | --- |
| 23.3 | 18 |
| 24.8 | 15 |
| 27.0 | 100 |
| 29.5 | 14 |
| 30.6 | 39 |
| 31.8 | 35 |
| 36.6 | 23 |
| 40.4 | 24 |
| 40.6 | 17 |
| 49.2 | 21 |
| 51.6 | 19 |
| 55.8 | 14 |


Structure and simulated X-ray diffraction stick pattern of Ac3ThH8 (the PBE geometry in Alexandria; a wavelength of 1.5418 Å).
Kinematic intensities with the Lorentz-polarization factor, no thermal factor.

Atomic structure:
Cell: 5.768 5.768 5.768 Å, 90.00 90.00 90.00°
Element x y z (fractional)
Ac 0.000 0.000 0.500
Ac 0.000 0.500 0.000
Ac 0.500 0.000 0.000
Th 0.500 0.500 0.500
H 0.264 0.264 0.264
H 0.264 0.264 0.736
H 0.264 0.736 0.264
H 0.264 0.736 0.736
H 0.736 0.264 0.264
H 0.736 0.264 0.736
H 0.736 0.736 0.264
H 0.736 0.736 0.736

Top 10 peaks for 10° ≤ 2θ ≤ 90°, by angle:
| 2θ (°) | intensity |
| --- | --- |
| 26.8 | 100 |
| 31.0 | 50 |
| 44.4 | 40 |
| 52.6 | 49 |
| 55.2 | 14 |
| 64.6 | 7 |
| 71.3 | 20 |
| 73.4 | 18 |
| 81.8 | 14 |
| 88.0 | 16 |


Structure and simulated X-ray diffraction stick pattern of Ac2ThH8 (the PBE geometry in Alexandria; a wavelength of 1.5418 Å).
Kinematic intensities with the Lorentz-polarization factor, no thermal factor.

Atomic structure:
Cell: 6.848 6.848 6.848 Å, 147.37 127.28 63.39°
Element x y z (fractional)
Ac 0.165 0.165 0.000
Ac 0.835 0.835 0.000
Th 0.500 0.500 0.000
H 0.101 0.342 0.759
H 0.262 0.000 0.262
H 0.349 0.849 0.500
H 0.417 0.658 0.759
H 0.583 0.342 0.241
H 0.651 0.151 0.500
H 0.738 0.000 0.738
H 0.899 0.658 0.241

Top 12 peaks for 10° ≤ 2θ ≤ 90°, by angle:
| 2θ (°) | intensity |
| --- | --- |
| 27.2 | 100 |
| 27.4 | 98 |
| 29.4 | 41 |
| 32.8 | 62 |
| 44.6 | 57 |
| 50.8 | 19 |
| 50.9 | 19 |
| 55.1 | 30 |
| 55.4 | 29 |
| 56.2 | 14 |
| 70.9 | 14 |
| 71.6 | 14 |


Structure and simulated X-ray diffraction stick pattern of AcThH (the PBE geometry in Alexandria; a wavelength of 1.5418 Å).
Kinematic intensities with the Lorentz-polarization factor, no thermal factor.

Atomic structure:
Cell: 3.789 3.789 6.223 Å, 90.00 90.00 120.00°
Element x y z (fractional)
Ac 0.000 0.000 0.000
Th 0.667 0.333 0.502
H 0.333 0.667 0.703

Top 12 peaks for 10° ≤ 2θ ≤ 90°, by angle:
| 2θ (°) | intensity |
| --- | --- |
| 27.2 | 22 |
| 28.7 | 26 |
| 30.8 | 100 |
| 39.9 | 17 |
| 48.0 | 20 |
| 52.2 | 24 |
| 56.9 | 24 |
| 58.1 | 17 |
| 73.6 | 9 |
| 78.7 | 15 |
| 79.8 | 9 |
| 83.0 | 6 |


Structure and simulated X-ray diffraction stick pattern of Ac5Tl2H (the PBE geometry in Alexandria; a wavelength of 1.5418 Å).
+++

You all look great, and I love the art. XO

Erin the Cat Princess said...

Your art work baubles look fit to dress the most regal of trees. Hopefully that nasty weather passes by quickly!
Purrs to you all

Kea said...

That's so sweet of you all to include Christmas wishes for those who celebrate. Your ornament art is lovely!

Take care and have a good week; stay well and stay safe.

The Island Cats said...

What great selfies and beautiful ornaments! Thank you for the Christmas wishes!

Meezer's Mews & Terrieristical Woofs said...

Your selfies and selfie-ornaments are very decorative and lovely to behold!

Mark's Mews (Marley, Lori, Taz, and Binq) said...

We are late, but wanted to say the pics were GREAT!

We decorated a Solstice Tree this year. With toy mousies in it... MOL!

Anonymous said...

Nice to meet you all. Beautiful selfies, of course, of cute cats.
Jerusalem and snow, a long time ago I was in a kibbutz working in children's house, age about 5. One morning the house was empty, only a small piece of paper was there. I was terrified what has happened. So reading the paper, it was snowing in Jerusalem and the children were on their way to see, for the first time, snow.I never forget that morning.
Sorry, I am talking too much.
Happy Holidays to you!